Dear friends
As we approach the end of the year, Ramji has been working on a blockbuster satsang for the second last Sunday of 2024. The topic is the tricky issue of the erroneous and persistent idea that Vedanta is a philosophy, and why it is not. He will discuss the difference between teaching Vedanta and teaching moksa. Though we teach the essence of traditional Vedanta, we teach moksa first and foremost. We do not endeavor to turn out perfect Vedanta scholars, but free people. It is important to be properly taught the means of knowledge, to commit to self-inquiry and follow the methodology of the teachings to the letter. But at some point, as important is that one ceases to be an inquirer, or a ‘student’, but a finder. If not, and you get lost in 'studying Vedanta', the means of knowledge can become an impediment to moksa. Freedom is not about gaining a degree in Vedanta, but the end of ignorance.
If we are doing our job as teachers, and you are a qualified and dedicated inquirer, by the grace of Isvara, Self-realization will obtain. At that point, what matters most is that you understand that you cannot actualize Self-knowledge because you are what is actual. While most inquirers still need to purify residual binding samskaras in the nididhysana phase, you are, and always have been, unlimited, whole and complete, ever-free, ever-present, unchanging nondual Consciousness. If nonduality is lived, the limited personal identity which has given you both a lot of joy and trouble, should be living a much transformed life because it is an object known to you. And as the Self, you are fine with who you are and who you are not, as the apparent person.
So, be sure not to miss it! We look forward to seeing you all on Sunday
With much love
Sundari and Ramji
1. Christmas Ideas:
Would you like to watch all three Fall Seminar videos from 2024?
If so, please consider making a donation of $40–$75 (or whatever you can afford) to ShiningWorld at After donating, send a brief message to Georg at
Prefer reading instead? Explore the Enlightened Lifestyles trilogy by Sundari—it might be just what you’re looking for!
2. Events 2025:
Unrelated to this page: data records.
~~~
The following is a DFT calculation (PBE with a Hubbard U) of a relaxed structure of ErNpMnO6.

Calculated values
Total moment = 10.0 μB/cell
SG = P-31c, No. 163
DFT total energy = -78.0 eV per formula unit

Lattice parameters (Å, degrees): 5.679 5.679 8.982 90.00 90.00 120.00
Fractional positions:
Er (0.333, 0.667, 0.250)
Er (0.667, 0.333, 0.750)
Np (0.667, 0.333, 0.250)
Np (0.333, 0.667, 0.750)
Mn (0.000, 0.000, 0.000)
Mn (0.000, 0.000, 0.500)
O (0.668, 0.640, 0.132)
O (0.972, 0.332, 0.132)
O (0.332, 0.972, 0.632)
O (0.028, 0.668, 0.868)
O (0.360, 0.332, 0.368)
O (0.972, 0.640, 0.368)
O (0.640, 0.972, 0.868)
O (0.668, 0.028, 0.368)
O (0.028, 0.360, 0.632)
O (0.360, 0.028, 0.132)
O (0.640, 0.668, 0.632)
O (0.332, 0.360, 0.868)

* * * * *

No. 1
This record from Alexandria describes Hf4Mn3Tc after structural relaxation. The functional is GGA-PBE.

Lattice parameters (Å, degrees): 3.2071 3.2071 12.7561 90.00 90.00 90.00
Site moments in Bohr magnetons follow the coordinates.
Fractional coordinates of all 8 atoms:
Mn  0.5000  0.5000  0.2557  1.26
Mn  0.5000  0.5000  0.5000  1.13
Mn  0.5000  0.5000  0.7443  1.26
Hf  0.0000  0.0000  0.8725  -0.12
Hf  0.0000  0.0000  0.1275  -0.12
Hf  0.0000  0.0000  0.6235  -0.25
Hf  0.0000  0.0000  0.3765  -0.25
Tc  0.5000  0.5000  0.0000  0.14

Output
- E_form: -215.4 meV/atom
- Crystal system: tetragonal
- DOS(E_F): 1.218 states/eV per atom
- Calculated density: 12.36 g cm⁻³
- Space-group type: P4/mmm

No. 2
This record from Alexandria describes HfTi2MnTc after structural relaxation. The functional is GGA-PBE.

Lattice parameters (Å, degrees): 4.5715 4.9908 4.5715 90.00 90.00 90.00
Site moments in Bohr magnetons follow the coordinates.
Fractional coordinates of all 5 atoms:
Hf  0.0000  0.5000  0.0000  0.00
Ti  0.0000  0.0000  0.5000  0.00
Ti  0.5000  0.0000  0.0000  -0.04
Tc  0.0000  0.0000  0.0000  0.03
Mn  0.5000  0.5000  0.5000  0.10

Output
- E_form: 1032.0 meV/atom
- Crystal system: tetragonal
- DOS(E_F): 1.559 states/eV per atom
- Calculated density: 6.80 g cm⁻³
- Space-group type: P4/mmm

No. 3
This record from Alexandria describes HfMnTl2Tc after structural relaxation. The functional is GGA-PBE.

Lattice parameters (Å, degrees): 5.3145 4.8769 5.3145 90.00 90.00 90.00
Site moments in Bohr magnetons follow the coordinates.
Fractional coordinates of all 5 atoms:
Hf  0.0000  0.5000  0.0000  -0.15
Tl  0.0000  0.0000  0.5000  0.00
Tl  0.5000  0.0000  0.0000  0.00
Tc  0.0000  0.0000  0.0000  0.41
Mn  0.5000  0.5000  0.5000  4.32

Output
- E_form: 865.7 meV/atom
- Crystal system: tetragonal
- DOS(E_F): 0.549 states/eV per atom
- Calculated density: 8.92 g cm⁻³
- Space-group type: P4/mmm

No. 4
This record from Alexandria describes HfUMnTc after structural relaxation. The functional is GGA-PBE.

Lattice parameters (Å, degrees): 4.6407 4.6407 4.6407 60.00 60.00 60.00
Site moments in Bohr magnetons follow the coordinates.
Fractional coordinates of all 4 atoms:
Hf  0.7500  0.7500  0.7500  0.24
~~~
Here's the link to the Bali 2025 presentation:
3. Videos of the Week: Audiobook Yoga of Love
The world could be different, couldn't it?
Here is the complete list of all recorded seminars on YouTube:
To join and watch all, click the button below, scroll to bottom and select Jnani Club:
4. Social Media:
Celebrating Sundari’s birthday :)
More than 4300 people engaged with the following post:
Also check out our Instagram page:
5. Satsang of the Week: A Disciplined Practice
6. Zoom Link for Sunday
Beginners as well as Advanced Students are welcomed for this Sunday:
Meeting ID: 834 616 7587
Passcode: 2023
7. Sunday Zoom Recordings
Download Link:
All Zoom recordings can be found here:
8. Any question? Any contribution?
Contact George:
9. Social Links:
You want to support ShiningWorld Inc. to cover the running costs?
Records of crystals that have nothing to do with the entry:
-- begin --
[1]
# BaEu2Cd, optimized geometry, DFT GGA-PBE
data_BaEu2Cd
_chemical_formula_sum 'Ba1 Eu2 Cd1'
_cell_length_a 5.361
_cell_length_b 5.361
_cell_length_c 5.516
_cell_angle_alpha 90.00
_cell_angle_beta 90.00
_cell_angle_gamma 90.00
_symmetry_space_group_name_H-M 'P 4/m m m'
_symmetry_Int_Tables_number 123
_symmetry_space_group_name_Hall '-P 4 2'
loop_
_atom_site_label
_atom_site_type_symbol
_atom_site_fract_x
_atom_site_fract_y
_atom_site_fract_z
Ba1 Ba 0.000 0.000 0.000
Eu1 Eu 0.000 0.500 0.500
Cd1 Cd 0.500 0.500 0.000
# D(E_F)   4.46 states/eV per cell
# Total moment   15.8 μB/cell
# Energy above the most stable polymorph in this dataset   0.386 eV per formula unit
# DFT formation energy   -0.049 eV/atom
# Volume   39.63 Å³/atom

[2]
# LiCaW2, optimized geometry, DFT GGA-PBE
data_LiCaW2
_chemical_formula_sum 'Li2 Ca2 W4'
_cell_length_a 3.791
_cell_length_b 3.791
_cell_length_c 10.345
_cell_angle_alpha 90.00
_cell_angle_beta 90.00
_cell_angle_gamma 90.00
_symmetry_space_group_name_H-M 'I 4/m m m'
_symmetry_Int_Tables_number 139
_symmetry_space_group_name_Hall '-I 4 2'
loop_
_atom_site_label
_atom_site_type_symbol
_atom_site_fract_x
_atom_site_fract_y
_atom_site_fract_z
Li1 Li 0.000 0.000 0.000
Ca1 Ca 0.000 0.000 0.500
W1 W 0.000 0.500 0.250
# D(E_F)   8.11 states/eV per cell
# Total moment   0.0 μB/cell
# Energy above the most stable polymorph in this dataset   1.018 eV per formula unit
# DFT formation energy   0.772 eV/atom
# Volume   18.58 Å³/atom

[3]
# MnTeP2, optimized geometry, DFT GGA-PBE
data_MnTeP2
_chemical_formula_sum 'Mn2 Te2 P4'
_cell_length_a 7.317
_cell_length_b 3.292
_cell_length_c 6.868
_cell_angle_alpha 90.00
_cell_angle_beta 97.86
_cell_angle_gamma 90.00
_symmetry_space_group_name_H-M 'C 1 m 1'
_symmetry_Int_Tables_number 8
loop_
_symmetry_equiv_pos_as_xyz
'x,y,z'
'x,-y,z'
'x+1/2,y+1/2,z'
'x+1/2,-y+1/2,z'
loop_
_atom_site_label
_atom_site_type_symbol
_atom_site_fract_x
_atom_site_fract_y
_atom_site_fract_z
Mn1 Mn 0.000 0.000 0.000
Te1 Te 0.226 0.500 0.249
P1 P 0.283 0.000 0.915
P2 P 0.482 0.000 0.729
# D(E_F)   2.72 states/eV per cell
# Total moment   1.5 μB/cell
# Formation energy (no corrections)   -11 meV/atom
# Volume   20.48 Å³/atom

[4]
# RbBeNb2, optimized geometry, DFT GGA-PBE
data_RbBeNb2
_chemical_formula_sum 'Rb4 Be4 Nb8'
_cell_length_a 4.499
_cell_length_b 4.499
_cell_length_c 19.826
_cell_angle_alpha 90.00
_cell_angle_beta 90.00
_cell_angle_gamma 90.00
_symmetry_space_group_name_H-M 'I -4 2 d'
_symmetry_Int_Tables_number 122
_symmetry_space_group_name_Hall 'I -4 2bw'
loop_
_atom_site_label
_atom_site_type_symbol
_atom_site_fract_x
_atom_site_fract_y
_atom_site_fract_z
Rb1 Rb 0.000 0.000 0.000
Be1 Be 0.000 0.000 0.500
Nb1 Nb 0.111 0.750 0.625
# D(E_F)   15.97 states/eV per cell
# Total moment   0.0 μB/cell
# DFT formation energy   1.571 eV/atom
# Volume   25.08 Å³/atom

E_tot list, top to bottom, in eV/atom: -5.896 -6.683 -5.794 -4.638
-- stop --
Here the entry continues:
Here is the link to the complete list of YouTube videos for those who are members:
And here is the link in case you want to sign up for the membership platform:
Social Media Links
**Inserted here: data records:**
Computed, not measured: a geometry-optimized BeCoRh2 structure at the PBE level of DFT.

a b c (Å): 3.5586 3.5586 7.5443
angles (deg): 90.00 90.00 90.00
Last column: nearest neighbours and their distance in Å.
Positions (direct):
Be1 0.0000 0.0000 0.0000  8 Rh 2.52-2.59, 4 Co 2.59
Be2 0.5000 0.5000 0.5000  8 Rh 2.52-2.59, 4 Co 2.59
Co1 0.0000 0.5000 0.7500  8 Rh 2.52-2.59, 4 Be 2.59
Co2 0.5000 0.0000 0.2500  8 Rh 2.52-2.59, 4 Be 2.59
Rh1 0.0000 0.0000 0.5000  4 Be 2.52, 4 Co 2.59, 4 Rh 2.59
Rh2 0.0000 0.5000 0.2500  4 Co 2.52, 4 Be 2.59, 4 Rh 2.59
Rh3 0.5000 0.0000 0.7500  4 Co 2.52, 4 Be 2.59, 4 Rh 2.59
Rh4 0.5000 0.5000 0.0000  4 Be 2.52, 4 Co 2.59, 4 Rh 2.59

Output
- magnetization (μB per formula unit) = 0.26
- energy relative to the elements (eV/atom) = -0.11
- symmetry = I-4m2, No. 119

Computed, not measured: a geometry-optimized BeCo3Rh structure at the PBE level of DFT.

a b c (Å): 4.4927 4.4927 4.4927
angles (deg): 90.00 90.00 90.00
Last column: nearest neighbours and their distance in Å.
Positions (direct):
Be1 0.0000 0.0000 0.0000  12 Co 3.18
Co1 0.0000 0.5000 0.5000  2 Rh 2.25
Co2 0.5000 0.0000 0.5000  2 Rh 2.25
Co3 0.5000 0.5000 0.0000  2 Rh 2.25
Rh1 0.5000 0.5000 0.5000  6 Co 2.25

Output
- magnetization (μB per formula unit) = 6.53
- energy relative to the elements (eV/atom) = 1.63
- symmetry = Pm-3m, No. 221

Computed, not measured: a geometry-optimized Be2CoRh structure at the PBE level of DFT.

a b c (Å): 7.2721 2.6497 4.4227
angles (deg): 90.00 103.69 90.00
Last column: nearest neighbours and their distance in Å.
Positions (direct):
Be1 0.2466 0.0000 0.2324  3 Co 2.27-2.31, 3 Rh 2.35-2.37, 2 Be 2.46
Be2 0.2534 0.5000 0.7676  3 Co 2.27-2.31, 3 Rh 2.35-2.37, 2 Be 2.46
Be3 0.7466 0.5000 0.2324  3 Co 2.27-2.31, 3 Rh 2.35-2.37, 2 Be 2.46
Be4 0.7534 0.0000 0.7676  3 Co 2.27-2.31, 3 Rh 2.35-2.37, 2 Be 2.46
Co1 0.0000 0.5000 0.0000  6 Be 2.27-2.31
Co2 0.5000 0.0000 0.0000  6 Be 2.27-2.31
Rh1 0.0000 0.0000 0.5000  6 Be 2.35-2.37, 4 Co 2.58
Rh2 0.5000 0.5000 0.5000  6 Be 2.35-2.37, 4 Co 2.58

Output
- magnetization (μB per formula unit) = 0.19
- energy relative to the elements (eV/atom) = -0.21
- symmetry = C2/m, No. 12


Entry 1:
Below is a geometry-optimized PrYEr2Se4 structure, with properties calculated at the PBE-GGA level.

Calculated values
The value obtained for the energy relative to the elements, uncorrected is -1747 meV per atom.

Cell: 4.039 7.251 7.071 Å, 71.40 90.00 90.00°
Fractional coordinates of all 8 atoms:
Se  0.000  0.766  0.738
Se  0.000  0.234  0.262
Se  0.500  0.761  0.253
Se  0.500  0.239  0.747
Er  0.500  0.000  0.500
Er  0.000  0.000  0.000
Y  0.000  0.500  0.500
Pr  0.500  0.500  0.000

***

Entry 2:
Below is a geometry-optimized TiPAuCl2 structure, with properties calculated at the PBE-GGA level.

Calculated values
The relative energy among the computed polymorphs is 0.000 eV/atom. The value obtained for the energy relative to the elements, uncorrected is -257 meV per atom.
Further social links of Sundari and Dave:
For any further information, contact:
Ramji and Sundari